Request:
The reader should duplicate the rows further down verbatim.

Excerpt:
____________
# 1
C28H39F3N5O2 | ωB97M-V/def2-TZVPD

Summary:
frontier orbital gap = 9.9 eV
SMILES string = COC[C@@H](c1ccc(C(F)(F)F)cc1)[N@@H+]1CCN(C2(C)CCN(C(=O)c3c(C)ncnc3C)CC2)C[C@@H]1C
max |F| = 0.81 eV Å⁻¹
highest occupied orbital energy = -0.43935 Ha
total charge = +1
2S+1 = 1

Positions of all 77 atoms, in Å:
1 C -5.274 1.881 -0.485
2 O -4.885 0.540 -0.704
3 C -4.132 -0.041 0.330
4 C -2.621 0.233 0.187
5 C -1.866 0.130 1.494
6 C -0.849 1.045 1.753
7 C -0.107 0.969 2.918
8 C -0.392 -0.025 3.843
9 C 0.466 -0.167 5.073
10 F 1.508 -0.987 4.825
11 F -0.198 -0.697 6.106
12 F 0.980 0.995 5.483
13 C -1.422 -0.926 3.615
14 C -2.157 -0.843 2.446
15 N -1.942 -0.576 -0.888
16 C -2.656 -0.545 -2.181
17 C -1.856 -1.365 -3.208
18 N -0.470 -1.428 -2.765
19 C 0.534 -1.592 -3.841
20 C 0.319 -2.881 -4.646
21 C 0.433 -0.356 -4.752
22 C 0.491 0.899 -3.882
23 N 1.442 0.728 -2.797
24 C 1.137 1.040 -1.532
25 O -0.030 1.247 -1.162
26 C 2.284 1.279 -0.615
27 C 3.031 2.460 -0.797
28 C 2.764 3.414 -1.912
29 N 4.012 2.775 0.032
30 C 4.250 1.970 1.048
31 N 3.597 0.859 1.315
32 C 2.623 0.496 0.493
33 C 1.956 -0.803 0.805
34 C 2.542 -0.140 -3.130
35 C 1.990 -1.572 -3.305
36 C -0.428 -2.356 -1.650
37 C -1.471 -1.953 -0.570
38 C -2.577 -2.995 -0.449
39 H -5.880 2.161 -1.342
40 H -5.870 1.972 0.428
41 H -4.412 2.553 -0.416
42 H -4.356 -1.108 0.297
43 H -4.453 0.349 1.305
44 H -2.524 1.267 -0.165
45 H -0.621 1.811 1.029
46 H 0.687 1.674 3.108
47 H -1.649 -1.684 4.348
48 H -2.962 -1.543 2.289
49 H -1.061 -0.006 -1.083
50 H -3.669 -0.928 -2.069
51 H -2.729 0.500 -2.486
52 H -2.286 -2.373 -3.303
53 H -1.942 -0.884 -4.178
54 H 0.989 -2.903 -5.501
55 H 0.524 -3.756 -4.034
56 H -0.699 -2.944 -5.020
57 H 1.270 -0.379 -5.448
58 H -0.471 -0.350 -5.358
59 H -0.481 1.129 -3.448
60 H 0.813 1.758 -4.482
61 H 3.158 3.016 -2.847
62 H 3.269 4.352 -1.701
63 H 1.697 3.587 -2.033
64 H 5.046 2.250 1.724
65 H 0.896 -0.755 0.573
66 H 2.422 -1.600 0.226
67 H 2.099 -1.033 1.857
68 H 3.294 -0.114 -2.341
69 H 3.006 0.214 -4.054
70 H 2.618 -2.098 -4.024
71 H 2.069 -2.114 -2.366
72 H -0.639 -3.388 -1.970
73 H 0.563 -2.344 -1.201
74 H -0.969 -1.894 0.401
75 H -2.113 -3.965 -0.285
76 H -3.189 -3.063 -1.343
77 H -3.220 -2.804 0.403

=====

# 2
C28H39N5O2RuS2 | ωB97M-V/def2-TZVPD

Summary:
frontier orbital gap (alpha / beta) = 6.8 / 6.7 eV
max |F| = 1.51 eV Å⁻¹
⟨S²⟩ = 0.76
highest occupied orbital energy (alpha / beta) = -0.16708 / -0.17172 Ha
total charge = -1
2S+1 = 2

Positions of all 77 atoms, in Å:
1 Ru -0.102 0.207 0.316
2 S 2.104 0.114 -0.263
3 C 2.500 1.759 -0.717
4 C 3.875 2.061 -0.950
5 N 4.993 2.278 -1.129
6 C 1.525 2.701 -0.879
7 S -0.160 2.305 -0.664
8 C 1.843 4.038 -1.270
9 N 2.076 5.120 -1.588
10 C -1.873 -0.997 2.959
11 O -1.363 0.315 3.088
12 C -0.514 0.875 2.143
13 O 0.056 1.876 2.503
14 H -1.513 -1.582 3.809
15 H -1.545 -1.475 2.033
16 H -2.964 -0.966 3.011
17 C -5.681 0.493 1.112
18 C -4.630 -0.133 0.203
19 C -4.554 -1.645 0.468
20 C -4.996 0.101 -1.262
21 N -3.385 0.600 0.490
22 N -2.246 0.083 -0.211
23 H -6.655 0.033 0.941
24 H -5.758 1.564 0.924
25 H -5.423 0.349 2.164
26 H -5.523 -2.098 0.250
27 H -4.311 -1.860 1.509
28 H -3.826 -2.160 -0.165
29 H -5.979 -0.321 -1.474
30 H -4.285 -0.384 -1.935
31 H -5.015 1.169 -1.485
32 H -3.167 0.608 1.478
33 H -2.247 0.560 -1.110
34 H -2.376 -0.906 -0.421
35 C -1.998 -5.740 -2.349
36 C -1.547 -4.305 -2.239
37 C -1.668 -3.448 -3.328
38 C -1.171 -2.155 -3.217
39 C -1.187 -1.211 -4.391
40 C -0.620 -1.732 -2.018
41 C -0.569 -2.528 -0.842
42 C -1.002 -3.864 -1.043
43 N -0.107 -1.956 0.323
44 C 0.635 -2.804 1.301
45 C 1.798 -3.539 0.603
46 C 2.619 -4.364 1.597
47 C 3.235 -3.429 2.641
48 C 2.111 -2.701 3.381
49 C 1.237 -3.724 4.102
50 C 0.609 -4.647 3.061
51 C 1.711 -5.381 2.293
52 C -0.238 -3.821 2.086
53 C 1.268 -1.903 2.382
54 H -2.444 -5.938 -3.324
55 H -2.738 -5.986 -1.585
56 H -1.159 -6.428 -2.219
57 H -2.090 -3.800 -4.262
58 H -1.331 -1.748 -5.329
59 H -0.254 -0.651 -4.456
60 H -1.995 -0.479 -4.305
61 H -0.123 -0.765 -2.014
____________

Worked solution:
# 1
C28H39F3N5O2 | ωB97M-V/def2-TZVPD

Summary:
frontier orbital gap = 9.9 eV
SMILES string = COC[C@@H](c1ccc(C(F)(F)F)cc1)[N@@H+]1CCN(C2(C)CCN(C(=O)c3c(C)ncnc3C)CC2)C[C@@H]1C
max |F| = 0.81 eV Å⁻¹
highest occupied orbital energy = -0.43935 Ha
total charge = +1
2S+1 = 1

Positions of all 77 atoms, in Å:
1 C -5.274 1.881 -0.485
2 O -4.885 0.540 -0.704
3 C -4.132 -0.041 0.330
4 C -2.621 0.233 0.187
5 C -1.866 0.130 1.494
6 C -0.849 1.045 1.753
7 C -0.107 0.969 2.918
8 C -0.392 -0.025 3.843
9 C 0.466 -0.167 5.073
10 F 1.508 -0.987 4.825
11 F -0.198 -0.697 6.106
12 F 0.980 0.995 5.483
13 C -1.422 -0.926 3.615
14 C -2.157 -0.843 2.446
15 N -1.942 -0.576 -0.888
16 C -2.656 -0.545 -2.181
17 C -1.856 -1.365 -3.208
18 N -0.470 -1.428 -2.765
19 C 0.534 -1.592 -3.841
20 C 0.319 -2.881 -4.646
21 C 0.433 -0.356 -4.752
22 C 0.491 0.899 -3.882
23 N 1.442 0.728 -2.797
24 C 1.137 1.040 -1.532
25 O -0.030 1.247 -1.162
26 C 2.284 1.279 -0.615
27 C 3.031 2.460 -0.797
28 C 2.764 3.414 -1.912
29 N 4.012 2.775 0.032
30 C 4.250 1.970 1.048
31 N 3.597 0.859 1.315
32 C 2.623 0.496 0.493
33 C 1.956 -0.803 0.805
34 C 2.542 -0.140 -3.130
35 C 1.990 -1.572 -3.305
36 C -0.428 -2.356 -1.650
37 C -1.471 -1.953 -0.570
38 C -2.577 -2.995 -0.449
39 H -5.880 2.161 -1.342
40 H -5.870 1.972 0.428
41 H -4.412 2.553 -0.416
42 H -4.356 -1.108 0.297
43 H -4.453 0.349 1.305
44 H -2.524 1.267 -0.165
45 H -0.621 1.811 1.029
46 H 0.687 1.674 3.108
47 H -1.649 -1.684 4.348
48 H -2.962 -1.543 2.289
49 H -1.061 -0.006 -1.083
50 H -3.669 -0.928 -2.069
51 H -2.729 0.500 -2.486
52 H -2.286 -2.373 -3.303
53 H -1.942 -0.884 -4.178
54 H 0.989 -2.903 -5.501
55 H 0.524 -3.756 -4.034
56 H -0.699 -2.944 -5.020
57 H 1.270 -0.379 -5.448
58 H -0.471 -0.350 -5.358
59 H -0.481 1.129 -3.448
60 H 0.813 1.758 -4.482
61 H 3.158 3.016 -2.847
62 H 3.269 4.352 -1.701
63 H 1.697 3.587 -2.033
64 H 5.046 2.250 1.724
65 H 0.896 -0.755 0.573
66 H 2.422 -1.600 0.226
67 H 2.099 -1.033 1.857
68 H 3.294 -0.114 -2.341
69 H 3.006 0.214 -4.054
70 H 2.618 -2.098 -4.024
71 H 2.069 -2.114 -2.366
72 H -0.639 -3.388 -1.970
73 H 0.563 -2.344 -1.201
74 H -0.969 -1.894 0.401
75 H -2.113 -3.965 -0.285
76 H -3.189 -3.063 -1.343
77 H -3.220 -2.804 0.403

=====

# 2
C28H39N5O2RuS2 | ωB97M-V/def2-TZVPD

Summary:
frontier orbital gap (alpha / beta) = 6.8 / 6.7 eV
max |F| = 1.51 eV Å⁻¹
⟨S²⟩ = 0.76
highest occupied orbital energy (alpha / beta) = -0.16708 / -0.17172 Ha
total charge = -1
2S+1 = 2

Positions of all 77 atoms, in Å:
1 Ru -0.102 0.207 0.316
2 S 2.104 0.114 -0.263
3 C 2.500 1.759 -0.717
4 C 3.875 2.061 -0.950
5 N 4.993 2.278 -1.129
6 C 1.525 2.701 -0.879
7 S -0.160 2.305 -0.664
8 C 1.843 4.038 -1.270
9 N 2.076 5.120 -1.588
10 C -1.873 -0.997 2.959
11 O -1.363 0.315 3.088
12 C -0.514 0.875 2.143
13 O 0.056 1.876 2.503
14 H -1.513 -1.582 3.809
15 H -1.545 -1.475 2.033
16 H -2.964 -0.966 3.011
17 C -5.681 0.493 1.112
18 C -4.630 -0.133 0.203
19 C -4.554 -1.645 0.468
20 C -4.996 0.101 -1.262
21 N -3.385 0.600 0.490
22 N -2.246 0.083 -0.211
23 H -6.655 0.033 0.941
24 H -5.758 1.564 0.924
25 H -5.423 0.349 2.164
26 H -5.523 -2.098 0.250
27 H -4.311 -1.860 1.509
28 H -3.826 -2.160 -0.165
29 H -5.979 -0.321 -1.474
30 H -4.285 -0.384 -1.935
31 H -5.015 1.169 -1.485
32 H -3.167 0.608 1.478
33 H -2.247 0.560 -1.110
34 H -2.376 -0.906 -0.421
35 C -1.998 -5.740 -2.349
36 C -1.547 -4.305 -2.239
37 C -1.668 -3.448 -3.328
38 C -1.171 -2.155 -3.217
39 C -1.187 -1.211 -4.391
40 C -0.620 -1.732 -2.018
41 C -0.569 -2.528 -0.842
42 C -1.002 -3.864 -1.043
43 N -0.107 -1.956 0.323
44 C 0.635 -2.804 1.301
45 C 1.798 -3.539 0.603
46 C 2.619 -4.364 1.597
47 C 3.235 -3.429 2.641
48 C 2.111 -2.701 3.381
49 C 1.237 -3.724 4.102
50 C 0.609 -4.647 3.061
51 C 1.711 -5.381 2.293
52 C -0.238 -3.821 2.086
53 C 1.268 -1.903 2.382
54 H -2.444 -5.938 -3.324
55 H -2.738 -5.986 -1.585
56 H -1.159 -6.428 -2.219
57 H -2.090 -3.800 -4.262
58 H -1.331 -1.748 -5.329
59 H -0.254 -0.651 -4.456
60 H -1.995 -0.479 -4.305
61 H -0.123 -0.765 -2.014